Scholarships for Women in Afghanistan: A New Reality, A New Path
Most days here at Myriad Canada we feel pretty amazed and humbled by the extraordinary things that are being done everywhere in the world by the organizations we work with. Very often we find ourselves saying ‘it’s like little miracles’.
== What comes next are crystal structures, not part of the text ==
- - -
# 1
This record from the Materials Project database describes crystalline Sr2GdFe3O9 at its relaxed geometry. The functional is GGA+U.

For the total magnetic moment, the calculation gives 20.0 μB/f.u. The value obtained for the corrected total energy (MP2020 scheme) is -246.97 eV for the cell shown. The space-group type is C2/c, No. 15. The formation energy from the elements comes out at -2.406 eV per atom.

a b c (Å): 5.525 5.525 13.444
angles (deg): 89.95 89.95 60.45
Element x y z (fractional)
O1 0.612 0.714 0.912
O2 0.286 0.388 0.588
O3 0.802 0.322 0.599
O4 0.151 0.649 0.924
O5 0.388 0.286 0.088
O6 0.678 0.198 0.901
O7 0.714 0.612 0.412
O8 0.198 0.678 0.401
O9 0.849 0.351 0.076
O10 0.483 0.948 0.258
O11 0.087 0.913 0.750
O12 0.351 0.849 0.576
O13 0.517 0.052 0.742
O14 0.052 0.517 0.242
O15 0.322 0.802 0.099
O16 0.913 0.087 0.250
O17 0.948 0.483 0.758
O18 0.649 0.151 0.424
Gd1 0.489 0.511 0.250
Gd2 0.511 0.489 0.750
Sr1 0.170 0.164 0.416
Sr2 0.830 0.836 0.584
Sr3 0.836 0.830 0.084
Sr4 0.164 0.170 0.916
Fe1 0.500 0.500 0.500
Fe2 0.168 0.165 0.666
Fe3 0.835 0.832 0.834
Fe4 0.500 0.500 0.000
Fe5 0.832 0.835 0.334
Fe6 0.165 0.168 0.166

# 2
This record from the Materials Project database describes crystalline Gd2VFeO6 at its relaxed geometry. The functional is GGA+U.

For the total magnetic moment, the calculation gives 19.0 μB/f.u. The value obtained for the corrected total energy (MP2020 scheme) is -211.49 eV for the cell shown. The space-group type is P2_1/c, No. 14. The formation energy from the elements comes out at -3.035 eV per atom.

a b c (Å): 5.759 5.423 9.241
angles (deg): 55.53 90.00 90.00
Element x y z (fractional)
O1 0.034 0.127 0.262
O2 0.966 0.873 0.738
O3 0.466 0.127 0.762
O4 0.316 0.352 0.946
O5 0.704 0.240 0.442
O6 0.816 0.648 0.554
O7 0.796 0.240 0.942
O8 0.534 0.873 0.238
O9 0.184 0.352 0.446
O10 0.296 0.760 0.558
O11 0.204 0.760 0.058
O12 0.684 0.648 0.054
Gd1 0.070 0.275 0.748
Gd2 0.570 0.725 0.752
Gd3 0.930 0.725 0.252
Gd4 0.430 0.275 0.248
V1 0.500 0.000 0.000
V2 0.000 0.000 0.500
Fe1 0.500 0.500 0.500
Fe2 0.000 0.500 0.000

Number 1: final energy -7.37 eV per atom. Number 2: final energy -9.77 eV per atom.
- - -
But like so many, we will never forget August 15, 2021 – the day the Taliban took over Kabul – just as we were finalizing an agreement with Gawharshad University in Kabul for a long-term project to support scholarships for young women.
In the weeks leading up to that day, we were of course concerned, but all signs pointed to the Taliban not entering Kabul. In fact, in a meeting just days prior, we were informed that the school year would actually be delayed – but because of covid.
The Spark
The catalyst of this initiative is a group of fiercely dedicated women who are part of the group ‘University Women Helping Afghan Women’ (UWHAW), an Ottawa-based study and interest group of the Canadian Federation of University Women – Ottawa Club.
Myriad Canada began working with the UWHAW in 2020 to implement this project and we were incredibly excited to launch the 2021 academic year with a new cohort of 6 very enthusiastic and motivated young Afghani women.
The Dreadful New Reality
The implications of the Taliban takeover of Kabul have been grave. Not only have women been barred from universities, but Afghanistan has become the only country in the world banning girls from receiving a secondary education. This doesn’t only breach their right to education. It puts them at a direct increased risk of early marriage and pregnancy, gender-based violence and so much more.
Renewed Direction
There is no denying that it has been extremely difficult to change course. However, we all strongly believed that it was important to put the funds to good use, in a way that would best benefit Afghan women.
After examining many different options, and considering that it is now not possible to transfer funds to Afghanistan due to anti-terrorism legislation, funds raised will now support Afghan women refugees coming to Canada. We are pleased to announce that the funds originally intended to support women at Gawharshad University will be used towards an endowed scholarship at Algonquin College in Ottawa for a female Afghan refugee.

Left to right: Patricia Duffey, Canadian Federation of University Women (CFUW) – Ottawa, Chair, Scholarship Trust Fund; Lorna Bickerton, CFUW-Ottawa & UWHAW; Jorgensen-Lane, Manager, Financial Aid and Student Awards, Algonquin College.
“Afghan women refugees have experienced unimaginable suffering and upheaval, including an interruption of their studies,” said Mark Savenkoff, Vice President, Advancement and Strategy, Algonquin College. “[The scholarship] will be a permanent avenue of financial support for Afghan women to gain access to valuable education and career training programs.”
Thank You.
Myriad Canada extends its gratitude to each and every Canadian who gave the gift of education to Afghan women. Although the mechanics of the scholarship may have changed, its spirit remains steadfast.
Next to the entry, the page also holds crystal structures
[1]
This record from the Materials Project describes crystalline MnFe4O5 at its relaxed geometry. The functional is PBE+U.

POSCAR file:
```
MnFe4O5
1.0
-3.5851 3.5851 2.1103
3.5851 -3.5851 2.1103
3.5851 3.5851 -2.1103
Mn Fe O
1 4 5
direct
0.0000 0.0000 0.0000
0.1998 0.4011 0.6009
0.4011 0.8002 0.2013
0.5989 0.1998 0.7987
0.8002 0.5989 0.3991
0.1005 0.6955 0.7959
0.3045 0.1005 0.4050
0.5000 0.5000 0.0000
0.6955 0.8995 0.5950
0.8995 0.3045 0.2041
```

Results
calculated formation energy	-11.54	eV/f.u.
magnetic moment	21.05	μB per formula unit

---

[2]
This record from the Materials Project describes crystalline Ca11YAl15Cr4SiO48 at its relaxed geometry. The functional is PBE+U.

POSCAR file:
```
Ca11YAl15Cr4SiO48
1.0
8.6019 -6.0833 0.0000
8.6019 6.0833 0.0000
-8.5912 0.0000 8.6282
Ca Y Al Cr Si O
11 1 15 4 1 48
direct
0.0000 0.0000 0.0000
0.0045 0.7497 0.1280
0.1251 0.3725 0.6221
0.1260 0.3707 0.1216
0.2503 0.9955 0.8720
0.2546 0.7454 0.5000
0.5041 0.2503 0.6264
0.6275 0.8749 0.3779
0.6293 0.8740 0.8784
0.7497 0.4959 0.3736
0.7524 0.2476 0.5000
0.4997 0.5003 0.0000
0.0055 0.7491 0.6273
0.1285 0.3733 0.3787
0.1283 0.3748 0.8794
0.2509 0.9945 0.3727
0.2541 0.7459 0.0000
0.3759 0.6208 0.7494
0.3792 0.6241 0.2506
0.5048 0.2507 0.1268
0.6252 0.8717 0.1206
0.6267 0.8715 0.6213
0.7493 0.4952 0.8732
0.7548 0.2452 0.0000
0.8771 0.1227 0.2499
0.8773 0.1229 0.7501
0.9993 0.0007 0.5000
0.3742 0.1207 0.2454
0.3760 0.1209 0.7482
0.8791 0.6240 0.2518
0.8793 0.6258 0.7546
0.5010 0.4990 0.5000
0.0555 0.7376 0.9418
0.0593 0.0106 0.2356
0.0682 0.5208 0.3259
0.0738 0.2200 0.8618
0.1826 0.5247 0.0723
0.1875 0.2241 0.2381
0.1968 0.7336 0.6649
0.1982 0.0095 0.6484
0.2624 0.9445 0.0582
0.2664 0.8032 0.3351
0.2784 0.3197 0.8305
0.2792 0.4257 0.5698
0.2979 0.6057 0.8513
0.3015 0.1335 0.5728
0.3651 0.1996 0.1360
0.3744 0.5343 0.3566
0.3893 0.0492 0.3643
0.3943 0.7021 0.1487
0.4530 0.1116 0.9271
0.4657 0.6256 0.6434
0.4753 0.8174 0.9277
0.4792 0.9318 0.6741
0.4911 0.3143 0.4461
0.4909 0.4411 0.1617
0.5551 0.2420 0.8548
0.5589 0.5091 0.8383
0.5659 0.0234 0.2614
0.5743 0.7208 0.4302
0.6803 0.7216 0.1695
0.6811 0.0260 0.6386
0.6857 0.5089 0.5539
0.6957 0.2351 0.2645
0.7580 0.4449 0.1452
0.7649 0.3043 0.7355
0.7759 0.8125 0.7619
0.7800 0.9262 0.1382
0.7929 0.1068 0.0528
0.8004 0.6349 0.8640
0.8612 0.0389 0.5532
0.8665 0.6985 0.4272
0.8884 0.5470 0.0729
0.8932 0.2072 0.9472
0.9508 0.6107 0.6357
0.9611 0.1388 0.4468
0.9740 0.3189 0.3614
0.9766 0.4341 0.7386
0.9894 0.9407 0.7644
0.9905 0.8018 0.3516
```

Results
calculated formation energy	-247.94	eV/f.u.
magnetic moment	6.00	μB per formula unit

---

[3]
This record from the Materials Project describes crystalline Li4VP6O18 at its relaxed geometry. The functional is PBE+U.

POSCAR file:
```
Li4VP6O18
1.0
6.2330 -3.9084 0.0000
6.2330 3.9084 0.0000
-0.9634 0.0000 13.9621
Li V P O
8 2 12 36
direct
0.0397 0.3002 0.4249
0.2173 0.4401 0.0474
0.3002 0.0397 0.9249
0.4401 0.2173 0.5474
0.5599 0.7827 0.4526
0.6998 0.9603 0.0751
For more information on the scholarship, please contact Lorna Bickerton at